Part 5 (1/2)

”Where are you going?” Laurel asked, frowning.

Gadara's brows rose at her tone, but he replied calmly, ”To the commissary.”

”You need to be military to shop in the commissary,” Edwards advised.

”I have clearance, Mr. Edwards.”

”He's an archangel,” Izzie muttered, ”not an idiot.”

”Sod off.”

Eve smiled at the exchange, but her merriment faded when she caught Gadara's gaze.

”Ms. Hollis. Please ensure that things flow smoothly in the women's quarters. There are air mattresses over there.” Gadara pointed at the pile of equipment in front of the garage.

Laurel scowled. ”Why is she in charge?”

”She is the only one of you to have actual field experience.”

”Yeah, and she got the s.h.i.+t kicked out of her.”

The cla.s.s didn't know that she had died, Eve realized with some surprise, which made her wonder if her resurrection was a big secret.

Gadara's dark eyes took on a warning gleam. ”Humor me, please, Ms. Hogan.”

Laurel shot an arch glance at Eve. Romeo set his arm around her waist and murmured in her ear. Eve's chin lifted. Of course Gadara would stoke the animosity. From the beginning, he'd made her marking as difficult as possible. It was his way of keeping Alec under his thumb.

”Mr. Edwards.” The archangel turned away. ”Please oversee the arranging of the men's quarters, especially the kitchen. We will begin dinner preparations when I return.”

”Are we hunting tonight?” Ken asked.

Gadara shook his head. ”No. Tonight is about settling in and preparing for tomorrow.”

Between two parts of the article: records of crystals:
=====
# 1
This record from the Materials Project database describes SrCu2O3 after structural relaxation. The functional is PBE.

Summary:
excess energy over the best structure of this formula in the dataset = 10 meV/atom

extended XYZ file:
```
12
Lattice="4.071 0.000 0.000 0.000 10.912 0.000 0.000 0.000 3.728" Properties=species:S:1:pos:R:3 pbc="T T T"
Sr 1.018 2.728 0.497
Sr 3.053 8.184 3.230
Cu 1.018 6.384 1.473
Cu 1.018 9.984 1.473
Cu 3.053 0.928 2.255
Cu 3.053 4.528 2.255
O 1.018 0.835 2.180
O 1.018 4.621 2.180
O 1.018 8.184 0.856
O 3.053 2.728 2.872
O 3.053 6.291 1.547
O 3.053 10.077 1.547
```

# 2
This record from the Materials Project database describes LiCuF4 after structural relaxation. The functional is PBE.

extended XYZ file:
```
36
Lattice="6.802 0.000 0.000 -1.562 7.797 0.000 -2.695 -2.115 9.280" Properties=species:S:1:pos:R:3 pbc="T T T"
Li -1.683 7.133 2.901
Li 0.937 3.807 0.239
Li -0.241 3.888 5.344
Li 2.786 1.795 3.936
Li 1.608 1.875 9.041
Li 4.227 -1.450 6.379
Cu -2.721 2.828 6.460
Cu -2.290 5.622 8.370
Cu 0.572 0.416 6.475
Cu 1.973 5.266 2.805
Cu 4.835 0.060 0.910
Cu 5.266 2.854 2.820
F -2.328 0.709 6.649
F -3.004 5.085 6.496
F -0.255 3.118 1.518
F -1.343 3.170 4.873
F 0.925 0.025 0.870
F -2.208 3.424 8.265
F 0.178 0.112 4.681
F -0.821 -0.029 8.144
F -1.061 5.693 6.803
F 0.196 2.575 6.665
F 1.641 5.229 0.914
F 0.668 5.139 4.032
F 1.877 0.544 5.248
F 0.904 0.453 8.365
F 2.349 3.107 2.615
F 3.606 -0.011 2.477
F 3.366 5.711 1.136
F 2.367 5.570 4.599
F 4.753 2.258 1.015
F 1.620 5.657 8.410
F 3.888 2.512 4.407
F 2.800 2.564 7.762
F 5.549 0.597 2.783
F 4.873 4.974 2.631
```

# 3
This record from the Materials Project database describes La3Co2Sn7 after structural relaxation. The functional is PBE.

extended XYZ file:
```
12
Lattice="2.324 -13.887 0.000 2.324 13.887 0.000 0.000 0.000 4.645" Properties=species:S:1:pos:R:3 pbc="T T T"
La 0.000 0.000 0.000
La 2.324 5.126 2.322
La 2.324 -5.126 2.322
Co 2.324 10.352 0.000
Co 2.324 -10.352 0.000
Sn 2.324 11.383 2.322
Sn 2.324 7.850 0.000
Sn 2.324 2.508 0.000
Sn 2.324 0.000 2.322
Sn 2.324 -2.508 0.000
Sn 2.324 -7.850 0.000
Sn 2.324 -11.383 2.322
```

# 4
This record from the Materials Project database describes Rb2LiS2 after structural relaxation. The functional is PBE.

extended XYZ file:
```
5
Lattice="5.351 0.000 0.000 0.000 5.351 0.000 0.000 0.000 14.957" Properties=species:S:1:pos:R:3 pbc="T T T"
Rb 0.000 0.000 2.268
Rb 0.000 0.000 12.689
Li 0.000 0.000 7.478
S 0.000 0.000 5.175
S 0.000 0.000 9.782
```
=====
The records of crystals stop here:

”Then we better get started,” Eve said before heading toward the ladies' side. The other women fell into step behind her.

The sun was dipping low on the horizon, streaking the sky with jeweled hues. The view was breathtaking, and Eve paused on the small cement porch step to take it in.

”Maybe it won't be so dodgy here after all,” Laurel said.

”Maybe,” Eve agreed, hoping that was true.

The comfortable stillness was shattered by the howl of a wolf in the distance. A chill coursed down Eve's spine.

”There are wolves at the beach?” Claire asked in a whisper.

”Were wolves,” Izzie corrected grimly.

As the color of the sky took on the hue of blood, Eve's enjoyment in its beauty fled. The evening air took on an ominous, oppressive weight.

They were out there. Infernals. Waiting, as the Marks were, for orders to kill. They pa.s.sed their time toying with mortals, leading them to the edge of h.e.l.l, then shoving them over.

Eve pushed open the unlocked door and gestured for the others to enter to safety before her. ”Let's get inside.”

”G'day, mates.”

Reed smiled at the Aussie greeting. ”It's past midnight.”

”Sorry to keep you waiting,” Les Goodman said, gesturing them into his small but well-kept house in Victoria Park. As the Australian handler who'd witnessed the most recent attack by their mystery Infernal, he was the reason Reed and Mariel were Down Under. He'd been tied up with the formalities that followed a Mark killing and had finally called Reed to come over about thirty minutes ago.

”I wanted to record my report while everything was still fresh in my mind,” Les explained as they moved into a comfortable living room furnished with brown leather furniture and st.u.r.dy wooden pieces. ”Not that I will ever forget, mind. I'll have nightmares about what happened to my Mark forever.”

”Thank you for agreeing to see us, Mr. Goodman,” Mariel said. ”We wish we were here under happier circ.u.mstances. We're very sorry for your loss.”

”Thank you. Call me Les, please.”

Mariel wore a loose floral dress and coordinating blue sweater, which gave her a casual and approachable air. Her wild flame-red hair, however, was pure seduction, but Les didn't appear to be affected as most single men were.

”You know Abel, of course,” she said.

Les extended his hand to Reed. ”Yes, of course. Welcome, Abel. It's an honor to have you here.”

Reed accepted Les's handshake, noting the strength and confidence conveyed by the mal'akh's grip. Les was blond, his skin darkened and weathered by the sun, his appearance arrested to look as if he was somewhere in his midforties. Grief weighed heavily upon his broad shoulders and bracketed his mouth and eyes with deep grooves of strain. Such physical manifestations of emotion were rare in mal'akhs and were only caused by the loss of a beloved. Les's Mark had meant a great deal to him. Affairs sometimes formed between Marks and their handlers, since they shared a connection that transcended the physical. A Mark could share fear and triumph and a handler could rea.s.sure and offer comfort across many miles. Also conducive to work-related romance were the isolated lives led by Marks and the lure of their Novium, which was brought on by the thrill of their first hunts. Even mal'akhs weren't immune to a Mark awakening to full power.

”We appreciate you taking the time to answer our questions,” Reed murmured, thinking of Eve and his own growing connection to her. G.o.d help him when her Novium hit, which would happen soon after she finished training and began hunting in earnest.

He glanced at his Rolex. It was early evening in California. She would be in Monterey now. By the end of the week, she would be three weeks away from graduation.

Les's jaw tightened. ”I'll do anything necessary to catch that demon. I've never seen anything like what happened to Kimberly. I pray I never see anything like it again.”

”Did you see the Infernal?” Mariel asked in a soothing voice.

”Yes.” A haunted look came to the handler's blue eyes. ”It was built like a brick s.h.i.+thouse. Nearly six meters in height and two meters wide at the shoulders.”

Reed looked at Mariel with both brows raised. She had described the demon far differently. The high-pitched whistle of a teakettle came from the back of the house. Les motioned them to follow him.

”Come along.” His booted steps thudded heavily across the hardwood floor. ”We'll talk in the kitchen.”

They settled around a scuffed linoleum-topped table. Les turned off the gas stove and poured boiling water into a waiting teapot. His domesticity contrasted starkly with his rugged appearance-worn flannel s.h.i.+rt, faded jeans, and large belt buckle.

”The Infernal I saw,” Mariel began, ”was a little over seven feet tall, nowhere near as large as the one you describe.”

Les set the pot on the table, then returned to the counter to retrieve a paper bag. He shook the contents- scones-onto a plate.

”Well, here's the thing.” He glanced over his shoulder at them. ”It wasn't that big before it killed my Mark.”

Reed's cell phone vibrated in his pocket. He withdrew it quickly. He normally kept the d.a.m.n thing off, but with Eve in training he wanted to be accessible. Glancing at the caller ID, he cursed silently. Sara. He hit the b.u.t.ton that sent the call to voicemail.